- The article introduced the physical chemical properties of the polyglycerol. 介绍了聚合甘油的物理化学性质。
- Based on a series of experiments ,a satisfactory physic chemical method was selected for clarification of crude sulphate turpentine. 对粗硫酸盐松节油的净化方法加以探讨,总结出较为理想的化学-物理净化法。
- Conclusion There were relationship between the physical chemical character and the lag time of PRT. 结论:脉冲控释片的理化性质与其脉冲释药机理有一定相关性。
- The monitoring carded out at each ECN site covers a range of physical chemical and biological measurements. 在每一个环境变化网络地区进行的监控都包括一定范围的物理、化学及生物测量。
- The research progress of physical chemical properties,production and application of xylo oligosaccharide is introduced in this article. 文章着重介绍了低聚木糖的理化特性、生产以及应用等方面的国内外研究进展,并简要介绍了课题组的一些研究工作进展。
- It has been preliminary studied by analysed the changes of physical chemical condition of auriferous fluid caused by hydrothermal boiling. 仅从热液沸腾造成含金热液物理化学条件改变的角度对这一关系进行初步探讨。
- Correlation analysis among metallic elements and part of physical chemical parameters showed their relatively interdependency. 对金属元素及部分理化参数的相关分析表明其间的相关性较显著。
- Keywords Fish oil;chemical refining;overdegum;Physical refining;EPA;DHA.; 鱼油;化学精炼;超级脱胶;物理精炼;EPA;DHA;
- Surface physical chemical properties of tissue-engineered materials are greatly important for histocompatibility of the materials. 组织工程材料的表面物理化学性质对材料的组织相容性有着重要影响。
- The investigations focus on physical chemical methods of improving the stability and discharge performance of super-iron battery with cathode of barium ferrate. 目前,提高高铁酸钡稳定性、改善以高铁酸钡为阴极材料的超铁电池放电性能为主要研究热点问题。
____________
No. 1
For Ac16Co5Pt3, DFT lattice parameters and positions (PBE) gives the theoretical X-ray powder pattern in this record (Cu Ka).
No peak broadening, texture or thermal motion is included.

Structural model:
abc: 14.9279 8.5347 13.7883
angles: 90.00 90.26 90.00
Space group Cm (No. 8)
One atom of each set of equivalent atoms:
Ac 0.0000 0.0000 0.0000 [2 per cell]
Ac 0.0018 0.0000 0.5043 [2 per cell]
Ac 0.0215 0.5000 0.9843 [2 per cell]
Ac 0.0863 0.2545 0.7366 [4 per cell]
Ac 0.1774 0.0000 0.2470 [2 per cell]
Ac 0.1865 0.5000 0.2329 [2 per cell]
Ac 0.2553 0.2722 0.9840 [4 per cell]
Ac 0.2717 0.2359 0.4892 [4 per cell]
Ac 0.3441 0.5000 0.7326 [2 per cell]
Ac 0.3506 0.0000 0.7283 [2 per cell]
Ac 0.4206 0.2561 0.2366 [4 per cell]
Ac 0.4967 0.0000 0.4883 [2 per cell]
Co 0.1726 0.5000 0.8530 [2 per cell]
Co 0.3411 0.5000 0.1111 [2 per cell]
Co 0.3424 0.0000 0.3540 [2 per cell]
Co 0.4266 0.2486 0.6140 [4 per cell]
Pt 0.0934 0.2482 0.1183 [4 per cell]
Pt 0.1758 0.0000 0.6176 [2 per cell]

The 6 most intense peaks (2θ = 10–80°), by angle:
| index | two_theta | I/Imax |
| --- | --- | --- |
| 0 0 4 | 25.85 | 42 |
| 2 2 -2 | 27.28 | 100 |
| 2 2 2 | 27.36 | 86 |
| 2 2 -3 | 30.96 | 49 |
| 4 0 5 | 40.78 | 45 |
| 6 2 0 | 42.04 | 62 |

No. 2
For Sc3B7W, DFT lattice parameters and positions (PBE) gives the theoretical X-ray powder pattern in this record (Cu Ka).
No peak broadening, texture or thermal motion is included.

Structural model:
abc: 3.3173 15.1328 9.1877
angles: 90.00 90.00 90.00
Space group Cmcm (No. 63)
One atom of each set of equivalent atoms:
Sc 0.0000 0.1078 0.0565 [8 per cell]
Sc 0.0000 0.2457 0.7500 [4 per cell]
B 0.0000 0.2713 0.0323 [8 per cell]
B 0.0000 0.3635 0.1466 [8 per cell]
B 0.0000 0.4439 0.7500 [4 per cell]
B 0.0000 0.4838 0.0896 [8 per cell]
W 0.0000 0.0509 0.7500 [4 per cell]

The 6 most intense peaks (2θ = 10–80°), by angle:
| index | two_theta | I/Imax |
| --- | --- | --- |
| 0 2 0 | 11.70 | 100 |
| 0 2 1 | 15.17 | 63 |
| 0 0 2 | 19.32 | 45 |
| 0 4 1 | 25.46 | 46 |
| 1 1 0 | 27.53 | 77 |
| 1 5 1 | 41.57 | 74 |

No. 3
For Cd14InSn, DFT lattice parameters and positions (PBE) gives the theoretical X-ray powder pattern in this record (Cu Ka).
No peak broadening, texture or thermal motion is included.

Structural model:
abc: 10.5161 6.9551 10.3558
angles: 90.00 90.00 90.00
Space group Amm2 (No. 38)
One atom of each set of equivalent atoms:
Cd 0.0000 0.0000 0.0000 [2 per cell]
Cd 0.0000 0.0000 0.4899 [2 per cell]
Cd 0.0000 0.2394 0.7455 [4 per cell]
Cd 0.2379 0.0000 0.1628 [4 per cell]
Cd 0.2404 0.2410 0.9104 [8 per cell]
Cd 0.2446 0.0000 0.6535 [4 per cell]
Cd 0.5000 0.2390 0.5523 [4 per cell]
In 0.5000 0.0000 0.8091 [2 per cell]
Sn 0.5000 0.0000 0.2945 [2 per cell]

The 6 most intense peaks (2θ = 10–80°), by angle:
| index | two_theta | I/Imax |
| --- | --- | --- |
| 1 2 2 | 32.15 | 64 |
| 4 0 0 | 34.10 | 61 |
| 2 2 2 | 35.47 | 100 |
| 2 0 4 | 38.77 | 66 |
| 3 2 2 | 40.48 | 37 |
| 4 4 0 | 64.20 | 31 |

No. 4
____________
• So much for the materials data:
- Keywords FCC LCO;chemical refining;stability;economic benefits; 催化裂化柴油;化学精制;安定性;经济效益;
- We abstracted chlorophyll from spinash using acetone as the extractive agent, and seperated the extract with chromatography column.We studied the physical chemical property of chlorophyll. 本实验采用丙酮为提取剂从菠菜中提取叶绿素,将提取液用层析柱进行分离,并对所提取的叶绿素进行理化性质研究。
- Silicones have been used succesfully to protect buidings against moisture and consequent physical chemical and biological deterioration.The properties of silicomes were introduced in this article. 硅酮树脂涂料覆盖层能有效保护混凝土设施,以及抵抗物理,化学和微生物的破坏作用。本文对硅酮树脂,水性的砖石防水硅酮的性能进行了介绍。
- The analysis of tea seeds oil in our country was different,the compare of physical chemical and functional properties of tea seeds oil and other oil plants were introduced in the paper. 茶叶籽油作为一种新兴的油脂,一直没有得到人们广泛的认识和重视,而我国茶叶籽油的分析也有出入。
- Abstract After bakeout under high temperature,heat expansion coefficient of sand can be decreased,gas released in high temperature is removed,physical chemical property of sand surface is modified. 原砂高温焙烧后可降低硅砂的热膨胀率,排除硅砂高温分解的气体,改变砂粒表面的理化性能。
- Keywords soft coulumn deodorization system;filling packed deo do rization tower;disc deodorization tower;vacuum heater;vacuum economizer;chemical refining;physical refining; 软塔脱臭系统;填料塔;塔式盘;真空加热器;真空节能器;化学精炼;物理精炼;
- Xanthan gum is not a gelation polysaccharide.It has good physics chemical and immune characteristics.At the same time, Xanthan gum has the strength application. 黄原胶是非凝胶多糖,它具有优良的理化特性和免疫学特性,同时还有增效作用。
- Relating to both physical and chemical properties. 物理和化学的与物理和化学特性均有关的
- The acoustics is a branch of physical. 声学是物理学的一个分支。
- Physical disability causes mental anguish. 生理伤残会引起心理苦闷。